If you don’t feel ashamed then do what you like
Between two parts of the piece: materials data >
=====
Er5NpRu4: optimized geometry, PBE-GGA.

calculated formation energy	-0.3019	eV per atom
size of the total moment	1.9	μB per formula unit
density of states at the Fermi level	1.23	states/eV per atom
final energy	-7.5878	eV per atom

a b c (Å): 7.8104 7.8104 6.7347
angles (deg): 100.63 100.63 34.47
With the nearest neighbours (Å) after each atom.
Element x y z (fractional)
Er 0.0000 0.0000 0.0000  6 Ru 2.94-2.96
Er 0.3270 0.3270 0.4583  4 Ru 2.82-3.06
Er 0.3335 0.3335 0.9601  5 Ru 2.86-3.20
Er 0.6665 0.6665 0.0399  5 Ru 2.86-3.20
Er 0.6730 0.6730 0.5417  4 Ru 2.82-3.06
Np 0.0000 0.0000 0.5000  6 Ru 2.52-2.77
Ru 0.1456 0.1456 0.7613  1 Np 2.52, 2 Er 2.82
Ru 0.4987 0.4987 0.2734  2 Np 2.77, 5 Er 2.86-3.06, 1 Ru 3.04
Ru 0.5013 0.5013 0.7266  2 Np 2.77, 5 Er 2.86-3.06, 1 Ru 3.04
Ru 0.8544 0.8544 0.2387  1 Np 2.52, 2 Er 2.82


Record 1
{"formula": "LaCd3Au", "functional": "PBE", "state": "optimized geometry", "dos_ef_per_ev_fu": 5.43, "polymorph_energy_kj_per_mol_fu": 623, "mass_density_g_cm3": 4.6, "formation_enthalpy_0k_ev_per_atom": 0.89, "sg": "No. 221", "lattice": [[6.2467, 0.0000, 0.0000], [0.0000, 6.2467, 0.0000], [0.0000, 0.0000, 6.2467]], "species": ["Au", "Cd", "Cd", "La", "Cd"], "fractional_positions": [[0.5000, 0.5000, 0.5000], [0.5000, 0.0000, 0.0000], [0.0000, 0.5000, 0.0000], [0.0000, 0.0000, 0.0000], [0.0000, 0.0000, 0.5000]]}


Record 2
{"formula": "ScMo2Pb", "functional": "PBE", "state": "optimized geometry", "dos_ef_per_ev_fu": 5.65, "mass_density_g_cm3": 9.0, "formation_enthalpy_0k_ev_per_atom": 0.98, "sg": "No. 122", "lattice": [[7.6099, 0.0000, 0.0000], [0.0000, 7.6099, 0.0000], [3.8049, 3.8049, 2.8407]], "species": ["Sc", "Sc", "Pb", "Mo", "Mo", "Mo", "Mo", "Pb"], "fractional_positions": [[0.2500, 0.7500, 0.5000], [0.5000, 0.5000, 0.0000], [0.7500, 0.2500, 0.5000], [0.8750, 0.8779, 0.7500], [0.6279, 0.1250, 0.2500], [0.1221, 0.6250, 0.2500], [0.3750, 0.3721, 0.7500], [0.0000, 0.0000, 0.0000]]}


Record 3
{"formula": "TaIr2Br", "functional": "PBE", "state": "optimized geometry", "dos_ef_per_ev_fu": 2.73, "raw_formation_energy_ev_per_atom": 0.3506, "polymorph_energy_kj_per_mol_fu": 154, "mass_density_g_cm3": 16.1, "sg": "No. 12", "lattice": [[5.0980, -0.0045, 0.0081], [4.2503, 2.8151, 0.0081], [0.3224, 0.0969, 4.6335]], "species": ["Ir", "Br", "Ta", "Ir"], "fractional_positions": [[0.4776, 0.4776, 0.5164], [0.2500, 0.2500, 0.2500], [0.7500, 0.7500, 0.7500], [0.0224, 0.0224, 0.9836]]}


Record 4
=====
The Messenger of Allaah (sallallaahu alayhi wasallam) said:
” آخر ما أدرك الناس من كلام النبوة الأولى، إذا لم تستح فاصنع ما شئت “.
“The last of what the people have got from the early prophecies is, If you don’t feel ashamed, then do whatever you like”
It is narrated by Ibn Asaakir in “Taareekh Dimashq” from the hadeeth of Abu Mas’ood al-Badree (radiallah anhu). Al-Manaawi said in “Faydh al-Qadeer” that: “Its chain is weak because of the weakness of Fath al-Misri. However, it is supported by what Al-Bayhaqi narrated in “Al-Shu’ab” from Abu Mas’ood with the wording: “(…إن آخر ما بقي من النبوة الأولى) Indeed the last of what remained from the early prophecies….” and the remaining wording is the same. In fact, Imaam Bukhaari narrated it from Abu Mas’ood with the wording: “(…إن مما أدرك الناس) Verily, from one of the things the people got…” and the rest is the same as here.
Shaykh Albaani said: It is also narrated by Bayhaqi in “Al-Anbiyaa” (2/379), and in “al-Adab” (4/140), and by Bykhaari in Al-Adab al-Mufrad (579, 1316) and similarly Abu Dawood (4797) and Ibn Maajah (4183) through the route of Mansoor, he said: I heard Rib’ee bin Hiraash narrating from Abu Mas’ood this narration.
And Abu Maalik al-Ashja’ee has opposed Mansoor in the chain of this narration as he narrated it from Rib’ee bin Hiraash (but) from Hudhayfah (instead of Abu Mas’ood) and he narrated it from the Messenger of Allaah (sallallaahu alayhi wasallam) he narrated it with the wording: “(إن آخر ما تعلق به أهل الجاهلية من كلام النبوة إذا لم) Certainly, the last of what the people of Jaahiliyyah held from the speech of the Prophets was if you do not feel…” It is narrated by Ahmed (5/405): He said, Yazeed bin Haaroon narrated to us, he said: Abu Maalik al-Ashja’ee informed us with this narration. And it is also narrated by Abu Nu’aym in “al-Hilyah al-Awliyaa” (4/371) and al-Khateeb in “Al-Taareekh” (12/135-136) through another route from Yazeed bin Haaroon with the same chain forward. However, Ahmed and Al-Khateeb have mentioned the addition of the wording: “(…المعروف كله صدقة، وإن) Every good thing is a charity and certainly…”
And this chain is Saheeh upon the conditions set forth by Muslim. As for Abu Maalik, his name is Sa’d bin Taariq, and this narration does not put any defect or harm on the narration of Mansoor mentioned above because – as Al-Haafidh said in “Al-Fath” (6/280) that: “It is not far-fetched that Rib’ee bin Hiraash would have heard this narration both from Abu Mas’ood as well as from Hudhayfah” i.e. he would narrate from one at one time and from another at other times, and this type of combination is not impossible to occur from him for indeed accusing a Thiqah person of a mistake is not permissible without Hujjah as is known in the science of Mustalah.
And with this, the hadeeth of Hudhayfah is a strong Shaahid for this narration of Ibn Asaakir – And Allaah is the source of strength.
Shaykh Albaani said, later I saw this hadeeth from Al-Akhmeemi in “His narrations from his Shuyookh” (1/2/2): He said: Muhammad (bin Abdullah bin Sa’eed al-Mihraani) narrated to us, he said: Muhammad bin Bashshaar narrated to us, he said: Yahya bin Sa’eed narrated to us, from Sufyaan, from Mansoor from Rib’ee bin Hiraash, with the same chain as Marfoo and with the wording: “(….آخر ما تعلق به الناس من كلام النبوة) The last of what the people held from the speech of the (early) Prophets….”. And the narrators of this chain are Thiqaat and the narrators of Shaykhayn with the exception of Al-Mihraani and I did not find his biography. However, Abu Nu’aym has narrated it in “Akhbaar Asbahaan” (2/78) from the route of Al-Hasan bin Ubayd from Rib’ee bin Hiraash with the same chain.
Thus these Mutaabi’aat are strong for Abu Maalik al-Ashja’ee proving that he did actually preserve what he narrated.
Silsilah Al-Ahaadeeth As-Saheehah by Shaykh Albaani (2/295-297 H. 684)